**Excerpt**
........
Formula: C52H130O26
Source: OMol25
Level of theory: the ωB97M-V functional and the def2-TZVPD basis

As for the largest force on an atom: 0.0485 Eh/bohr. As for the charge: 0. For the LUMO energy, the calculation gives 0.6 eV. The value obtained for the relative energy (zero: lowest compared OMol25 entry of this formula, charge and spin) is 3.154 eV.

Atoms and positions in Å:
1 C -1.46 5.88 -2.68
2 O -2.19 4.66 -2.41
3 C -1.50 3.51 -2.72
4 C -2.15 2.31 -1.99
5 O -3.46 1.98 -2.25
6 C -4.47 2.76 -1.66
7 H -1.08 5.90 -3.70
8 H -0.58 5.91 -2.04
9 H -2.02 6.77 -2.38
10 H -0.44 3.64 -2.51
11 H -1.43 3.39 -3.80
12 H -1.99 2.35 -0.91
13 H -1.71 1.38 -2.36
14 H -4.58 3.75 -2.10
15 H -4.21 2.87 -0.61
16 H -5.43 2.24 -1.62
17 C 6.58 -0.49 2.57
18 O 7.35 0.55 1.90
19 C 6.56 1.64 1.46
20 C 6.03 2.59 2.55
21 O 5.15 2.11 3.50
22 C 3.83 1.93 2.95
23 H 5.78 -0.07 3.19
24 H 7.29 -1.02 3.21
25 H 6.24 -1.20 1.82
26 H 5.77 1.21 0.84
27 H 7.17 2.24 0.79
28 H 5.62 3.50 2.10
29 H 6.83 2.91 3.23
30 H 3.87 1.10 2.25
31 H 3.47 2.85 2.49
32 H 3.14 1.65 3.75
33 C 2.10 3.61 -3.92
34 O 2.35 2.82 -5.02
35 C 3.14 1.69 -4.72
36 C 2.98 0.74 -5.88
37 O 1.64 0.40 -6.19
38 C 0.99 -0.43 -5.21
39 H 1.50 4.42 -4.34
40 H 2.99 4.06 -3.48
41 H 1.49 3.24 -3.09
42 H 2.75 1.14 -3.86
43 H 4.19 1.90 -4.54
44 H 3.50 -0.19 -5.63
45 H 3.49 1.11 -6.77
46 H 0.44 -1.23 -5.71
47 H 0.45 0.11 -4.43
48 H 1.63 -1.07 -4.61
49 C -4.08 1.46 3.67
50 O -4.28 0.84 2.38
51 C -5.49 0.17 2.31
52 C -5.93 -0.26 0.90
53 O -5.17 -1.36 0.39
54 C -3.81 -1.04 0.14
55 H -4.71 2.34 3.72
56 H -3.08 1.75 3.97
57 H -4.34 0.89 4.56
58 H -6.31 0.77 2.71
59 H -5.49 -0.69 2.99
60 H -5.92 0.61 0.24
61 H -6.98 -0.56 0.89
62 H -3.26 -1.93 -0.13
63 H -3.28 -0.82 1.06
64 H -3.59 -0.31 -0.64
65 C -0.88 0.72 1.70
66 O -0.19 -0.55 1.77
67 C 0.90 -0.73 0.88
68 C 0.81 -0.14 -0.54
69 O -0.31 -0.44 -1.32
70 C -0.35 -1.80 -1.83
71 H -1.57 0.73 2.54
72 H -1.48 0.75 0.79
73 H -0.24 1.59 1.76
74 H 1.05 -1.81 0.75
75 H 1.78 -0.44 1.45
76 H 1.68 -0.45 -1.12
77 H 0.88 0.95 -0.53
78 H 0.61 -2.19 -2.16
79 H -1.07 -1.77 -2.66
80 H -0.63 -2.51 -1.05
81 C -4.06 -0.67 -3.82
82 O -4.97 -1.04 -4.85
83 C -4.29 -1.65 -5.97
84 C -5.36 -1.88 -7.09
85 O -5.99 -0.62 -7.36
86 C -6.68 -0.67 -8.62
87 H -4.77 -0.22 -3.13
88 H -3.22 -0.04 -4.09
89 H -3.70 -1.60 -3.37
90 H -3.94 -2.65 -5.72
91 H -3.44 -1.09 -6.36
92 H -6.11 -2.64 -6.91
93 H -4.85 -2.16 -8.01
94 H -6.03 -0.97 -9.44
95 H -7.19 0.22 -8.99
96 H -7.47 -1.42 -8.56
97 C 4.53 -2.61 -0.31
98 O 4.23 -1.45 -1.06
99 C 4.74 -1.52 -2.44
100 C 4.26 -2.80 -3.26
101 O 2.85 -2.92 -3.14
102 C 2.21 -3.99 -3.75
103 H 4.10 -2.52 0.69
104 H 5.60 -2.76 -0.17
105 H 4.02 -3.46 -0.75
106 H 5.83 -1.48 -2.37
107 H 4.41 -0.65 -3.00
108 H 4.87 -3.57 -2.79
109 H 4.55 -2.72 -4.31
110 H 2.51 -4.94 -3.32
111 H 2.49 -4.12 -4.80
112 H 1.13 -3.87 -3.65
113 C 0.01 -5.26 -6.10
114 O -0.75 -5.22 -4.89
115 C -1.87 -4.36 -4.79
116 C -2.83 -4.74 -3.68
117 O -2.21 -4.45 -2.40
118 C -3.07 -4.77 -1.28
119 H -0.49 -5.78 -6.91
120 H 0.77 -6.00 -5.83
121 H 0.40 -4.28 -6.34
122 H -2.41 -4.39 -5.74
123 H -1.55 -3.32 -4.73
124 H -3.11 -5.77 -3.86
125 H -3.68 -4.06 -3.83
126 H -3.90 -4.08 -1.13
127 H -2.50 -4.67 -0.35
128 H -3.40 -5.80 -1.33
129 C 1.60 -4.71 0.23
130 O 2.62 -4.58 1.17
131 C 3.31 -5.79 1.46
132 C 4.33 -5.70 2.60
133 O 5.31 -4.68 2.36
134 C 6.30 -4.64 3.34
135 H 1.01 -3.81 0.12
136 H 1.07 -5.65 0.42
137 H 2.10 -4.81 -0.73
138 H 3.70 -6.37 0.62
139 H 2.49 -6.43 1.78
140 H 4.88 -6.64 2.61
141 H 3.75 -5.48 3.50
142 H 6.91 -3.75 3.15
143 H 6.96 -5.51 3.35
144 H 5.96 -4.42 4.35
145 C -2.61 -8.26 4.77
146 O -2.14 -7.11 4.06
147 C -1.28 -6.31 4.88
148 C -0.57 -5.15 4.06
149 O -1.59 -4.30 3.44
150 C -1.08 -3.15 2.79
151 H -1.75 -8.86 5.08
152 H -3.13 -8.96 4.12
153 H -3.21 -8.05 5.65
154 H -0.46 -6.99 5.13
155 H -1.79 -5.92 5.75
156 H 0.06 -5.61 3.30
157 H 0.15 -4.62 4.69
158 H -1.81 -2.34 2.75
159 H -0.78 -3.40 1.77
160 H -0.19 -2.69 3.21
161 C 2.38 6.19 3.54
162 O 1.41 7.16 3.22
163 C 0.30 6.76 2.29
164 C 0.74 6.06 0.96
........

**Job**
Repeat the listing earlier on unchanged.

**Response**
Formula: C52H130O26
Source: OMol25
Level of theory: the ωB97M-V functional and the def2-TZVPD basis

As for the largest force on an atom: 0.0485 Eh/bohr. As for the charge: 0. For the LUMO energy, the calculation gives 0.6 eV. The value obtained for the relative energy (zero: lowest compared OMol25 entry of this formula, charge and spin) is 3.154 eV.

Atoms and positions in Å:
1 C -1.46 5.88 -2.68
2 O -2.19 4.66 -2.41
3 C -1.50 3.51 -2.72
4 C -2.15 2.31 -1.99
5 O -3.46 1.98 -2.25
6 C -4.47 2.76 -1.66
7 H -1.08 5.90 -3.70
8 H -0.58 5.91 -2.04
9 H -2.02 6.77 -2.38
10 H -0.44 3.64 -2.51
11 H -1.43 3.39 -3.80
12 H -1.99 2.35 -0.91
13 H -1.71 1.38 -2.36
14 H -4.58 3.75 -2.10
15 H -4.21 2.87 -0.61
16 H -5.43 2.24 -1.62
17 C 6.58 -0.49 2.57
18 O 7.35 0.55 1.90
19 C 6.56 1.64 1.46
20 C 6.03 2.59 2.55
21 O 5.15 2.11 3.50
22 C 3.83 1.93 2.95
23 H 5.78 -0.07 3.19
24 H 7.29 -1.02 3.21
25 H 6.24 -1.20 1.82
26 H 5.77 1.21 0.84
27 H 7.17 2.24 0.79
28 H 5.62 3.50 2.10
29 H 6.83 2.91 3.23
30 H 3.87 1.10 2.25
31 H 3.47 2.85 2.49
32 H 3.14 1.65 3.75
33 C 2.10 3.61 -3.92
34 O 2.35 2.82 -5.02
35 C 3.14 1.69 -4.72
36 C 2.98 0.74 -5.88
37 O 1.64 0.40 -6.19
38 C 0.99 -0.43 -5.21
39 H 1.50 4.42 -4.34
40 H 2.99 4.06 -3.48
41 H 1.49 3.24 -3.09
42 H 2.75 1.14 -3.86
43 H 4.19 1.90 -4.54
44 H 3.50 -0.19 -5.63
45 H 3.49 1.11 -6.77
46 H 0.44 -1.23 -5.71
47 H 0.45 0.11 -4.43
48 H 1.63 -1.07 -4.61
49 C -4.08 1.46 3.67
50 O -4.28 0.84 2.38
51 C -5.49 0.17 2.31
52 C -5.93 -0.26 0.90
53 O -5.17 -1.36 0.39
54 C -3.81 -1.04 0.14
55 H -4.71 2.34 3.72
56 H -3.08 1.75 3.97
57 H -4.34 0.89 4.56
58 H -6.31 0.77 2.71
59 H -5.49 -0.69 2.99
60 H -5.92 0.61 0.24
61 H -6.98 -0.56 0.89
62 H -3.26 -1.93 -0.13
63 H -3.28 -0.82 1.06
64 H -3.59 -0.31 -0.64
65 C -0.88 0.72 1.70
66 O -0.19 -0.55 1.77
67 C 0.90 -0.73 0.88
68 C 0.81 -0.14 -0.54
69 O -0.31 -0.44 -1.32
70 C -0.35 -1.80 -1.83
71 H -1.57 0.73 2.54
72 H -1.48 0.75 0.79
73 H -0.24 1.59 1.76
74 H 1.05 -1.81 0.75
75 H 1.78 -0.44 1.45
76 H 1.68 -0.45 -1.12
77 H 0.88 0.95 -0.53
78 H 0.61 -2.19 -2.16
79 H -1.07 -1.77 -2.66
80 H -0.63 -2.51 -1.05
81 C -4.06 -0.67 -3.82
82 O -4.97 -1.04 -4.85
83 C -4.29 -1.65 -5.97
84 C -5.36 -1.88 -7.09
85 O -5.99 -0.62 -7.36
86 C -6.68 -0.67 -8.62
87 H -4.77 -0.22 -3.13
88 H -3.22 -0.04 -4.09
89 H -3.70 -1.60 -3.37
90 H -3.94 -2.65 -5.72
91 H -3.44 -1.09 -6.36
92 H -6.11 -2.64 -6.91
93 H -4.85 -2.16 -8.01
94 H -6.03 -0.97 -9.44
95 H -7.19 0.22 -8.99
96 H -7.47 -1.42 -8.56
97 C 4.53 -2.61 -0.31
98 O 4.23 -1.45 -1.06
99 C 4.74 -1.52 -2.44
100 C 4.26 -2.80 -3.26
101 O 2.85 -2.92 -3.14
102 C 2.21 -3.99 -3.75
103 H 4.10 -2.52 0.69
104 H 5.60 -2.76 -0.17
105 H 4.02 -3.46 -0.75
106 H 5.83 -1.48 -2.37
107 H 4.41 -0.65 -3.00
108 H 4.87 -3.57 -2.79
109 H 4.55 -2.72 -4.31
110 H 2.51 -4.94 -3.32
111 H 2.49 -4.12 -4.80
112 H 1.13 -3.87 -3.65
113 C 0.01 -5.26 -6.10
114 O -0.75 -5.22 -4.89
115 C -1.87 -4.36 -4.79
116 C -2.83 -4.74 -3.68
117 O -2.21 -4.45 -2.40
118 C -3.07 -4.77 -1.28
119 H -0.49 -5.78 -6.91
120 H 0.77 -6.00 -5.83
121 H 0.40 -4.28 -6.34
122 H -2.41 -4.39 -5.74
123 H -1.55 -3.32 -4.73
124 H -3.11 -5.77 -3.86
125 H -3.68 -4.06 -3.83
126 H -3.90 -4.08 -1.13
127 H -2.50 -4.67 -0.35
128 H -3.40 -5.80 -1.33
129 C 1.60 -4.71 0.23
130 O 2.62 -4.58 1.17
131 C 3.31 -5.79 1.46
132 C 4.33 -5.70 2.60
133 O 5.31 -4.68 2.36
134 C 6.30 -4.64 3.34
135 H 1.01 -3.81 0.12
136 H 1.07 -5.65 0.42
137 H 2.10 -4.81 -0.73
138 H 3.70 -6.37 0.62
139 H 2.49 -6.43 1.78
140 H 4.88 -6.64 2.61
141 H 3.75 -5.48 3.50
142 H 6.91 -3.75 3.15
143 H 6.96 -5.51 3.35
144 H 5.96 -4.42 4.35
145 C -2.61 -8.26 4.77
146 O -2.14 -7.11 4.06
147 C -1.28 -6.31 4.88
148 C -0.57 -5.15 4.06
149 O -1.59 -4.30 3.44
150 C -1.08 -3.15 2.79
151 H -1.75 -8.86 5.08
152 H -3.13 -8.96 4.12
153 H -3.21 -8.05 5.65
154 H -0.46 -6.99 5.13
155 H -1.79 -5.92 5.75
156 H 0.06 -5.61 3.30
157 H 0.15 -4.62 4.69
158 H -1.81 -2.34 2.75
159 H -0.78 -3.40 1.77
160 H -0.19 -2.69 3.21
161 C 2.38 6.19 3.54
162 O 1.41 7.16 3.22
163 C 0.30 6.76 2.29
164 C 0.74 6.06 0.96